The Small Hermitage
When after coronation in Moscow Catherine II returned to the capital the Winter Palace met her with solemn coldness of the official halls full of draughts of court gossiping where both friends and enemies remind her about her impetuous and illegal accesion to the throne. In the palace she would always remain unapproachable in her majesty empress. She wrote to a foreign correspondent m-me Joffrin, "When I come into the room everybody is stunned and put on a haughty air, I often cry in indignation as an eagle against this custom... and the more I get angry, the less natural they are with me...". In an absolutely different way, gaily and unconstrainedly, the guests of Catherine II felt in the "cosy solitary corner" created by her where in an intimate circle she played the role of a charming nice hostess. The stage for this performance was the Small Hermitage constructed at the wish of the Empress next to the official residence. From 1765 till autumn of 1766 Yury Veldten built a two-story living pavilion in the southern part of the hanging garden laid out above the royal stables and the riding-house. Refined decoration of the facade with figured platbands of the windows and doubled columns, curved corners of the building enabled the author to combine in a natural maner the features of the Late Baroque style with the Early Classicism.
• Attached: records of crystals:
- - -
# Cs2BaCd2, relaxed, DFT PBE
data_Cs2BaCd2
_chemical_formula_sum 'Cs4 Ba2 Cd4'
_symmetry_space_group_name_H-M 'P 4/m b m'
_symmetry_Int_Tables_number 127
_symmetry_space_group_name_Hall '-P 4 2ab'
_cell_length_a 10.816
_cell_length_b 10.816
_cell_length_c 4.284
_cell_angle_alpha 90.00
_cell_angle_beta 90.00
_cell_angle_gamma 90.00
loop_
_atom_site_label
_atom_site_type_symbol
_atom_site_fract_x
_atom_site_fract_y
_atom_site_fract_z
Cs1 Cs 0.127 0.373 0.000
Ba1 Ba 0.000 0.000 0.000
Cd1 Cd 0.177 0.677 0.500
# - relative energy among the computed polymorphs (meV per atom) = 135
# - E (eV/atom) = -0.978
# - calculated density (g/cm³) = 4.16
# - formation energy from the elements (eV/atom) = 0.1140

=====

# CsBa3Cd, relaxed, DFT PBE
data_CsBa3Cd
_chemical_formula_sum 'Cs1 Ba3 Cd1'
_symmetry_space_group_name_H-M 'P m -3 m'
_symmetry_Int_Tables_number 221
_symmetry_space_group_name_Hall '-P 4 2 3'
_cell_length_a 6.954
_cell_length_b 6.954
_cell_length_c 6.954
_cell_angle_alpha 90.00
_cell_angle_beta 90.00
_cell_angle_gamma 90.00
loop_
_atom_site_label
_atom_site_type_symbol
_atom_site_fract_x
_atom_site_fract_y
_atom_site_fract_z
Cs1 Cs 0.000 0.000 0.000
Ba1 Ba 0.000 0.500 0.500
Cd1 Cd 0.500 0.500 0.500
# - relative energy among the computed polymorphs (meV per atom) = 0
# - E (eV/atom) = -1.513
# - calculated density (g/cm³) = 3.25
# - formation energy from the elements (eV/atom) = -0.0060

=====

# CsBaCd3, relaxed, DFT PBE
data_CsBaCd3
_chemical_formula_sum 'Cs1 Ba1 Cd3'
_symmetry_space_group_name_H-M 'P m -3 m'
_symmetry_Int_Tables_number 221
_symmetry_space_group_name_Hall '-P 4 2 3'
_cell_length_a 6.676
_cell_length_b 6.676
_cell_length_c 6.676
_cell_angle_alpha 90.00
_cell_angle_beta 90.00
_cell_angle_gamma 90.00
loop_
_atom_site_label
_atom_site_type_symbol
_atom_site_fract_x
_atom_site_fract_y
_atom_site_fract_z
Cs1 Cs 0.000 0.000 0.000
Ba1 Ba 0.500 0.500 0.500
Cd1 Cd 0.000 0.500 0.500
# - relative energy among the computed polymorphs (meV per atom) = 397
# - E (eV/atom) = -0.890
# - calculated density (g/cm³) = 3.39
# - formation energy from the elements (eV/atom) = 0.2142

=====

# Cs2BaCd9, relaxed, DFT PBE
data_Cs2BaCd9
_chemical_formula_sum 'Cs6 Ba3 Cd27'
_symmetry_space_group_name_H-M 'R -3 m'
_symmetry_Int_Tables_number 166
_symmetry_space_group_name_Hall '-R 3 2"'
_cell_length_a 6.4575
_cell_length_b 6.4575
_cell_length_c 32.5981
_cell_angle_alpha 90.00
_cell_angle_beta 90.00
_cell_angle_gamma 120.00
loop_
_atom_site_label
_atom_site_type_symbol
_atom_site_fract_x
_atom_site_fract_y
_atom_site_fract_z
Cs1 Cs 0.0000 0.0000 0.1443
Ba1 Ba 0.0000 0.0000 0.0000
Cd1 Cd 0.0000 0.0000 0.3359
Cd2 Cd 0.0000 0.0000 0.5000
Cd3 Cd 0.0068 0.5034 0.9245
# - E (eV/atom) = -1.076
# - calculated density (g/cm³) = 5.99
# - formation energy from the elements (eV/atom) = -0.0874

=====

# Cs2BaCd6, relaxed, DFT PBE
data_Cs2BaCd6
_chemical_formula_sum 'Cs4 Ba2 Cd12'
_symmetry_space_group_name_H-M 'C m m m'
_symmetry_Int_Tables_number 65
- - -
In this South wing called "Favourite's" Catherine II lodged Grigory Orlov. His luxurious appartments were connected with the palace of the Empress by a passage. She wrote about her favourite: "He is the most handsome man of his time, nature was very generous regarding his appearance, intellect, heart and soul". The love affair with this brilliant Guards officer brought her a present - the son. He also brought her to power as a result of swift political plot. After the coup d'etat Grigory Orlov practically did not interfere into state affairs. Unlike Orlov another favourite of Catherine II, Grigory Potemkin who also lived next to the Empress, in the wing of the riding-house, went deeply into all details of politics and the Empress willingly discussed them with him. She highly appreciated his opinion and ability for action and wrote in the letter of 1783: "I feel helpless without you." After death of Prince Grigory Potemkin she said: " He had a wonderful intellect, hot temper, kind heart, looked at you like a wolf and therefore was nor admired, but giving fillips he made a lot of good even to his enemies. It is hard to replace him... Now all the burdens of the rule lie on me alone".
Acoording to the idea of the Empress the northern part of the hanging garden should have been closed by the pavilion for solitary rest with a gala hall, some drawing rooms and a green-house. The architect Jean Baptiste Michel Vallin de la Mothe was commissioned in 1767 to built the pavilion. The pavilion arranged along the Neva river in one line with the official residence was designed in the Early Classicism style. It is distingwished by strict proportions that are in tune with architectural articulation of the Winter Palace. The rythm of the collonade of Corinthian order in the first circle of the facade of the North pavilion expressively points out artistic unity of the two buildings of different architectural styles. In the North pavilion after the construction was completed in 1769 Catherine II organized "small hermitages" - entertainment parties during which her guests participated in games and performances. Quite often the scenarios for the hermitage plays from Russian history and life composed the Empress herself. The parties were finished with a dinner in the room with lifting tables as were the tables in the Hermitage in the Tsar's Village. These secluded assemblies of the retinue became traditional and therefore the original name the"Conservatory House" was changed and since then all the buildings started to be called the Small Hermitage. The first party in the newly built pavilion was held in February 1769. The guests had to come to the "small hermitage assemblies" in Russian style dresses and speak only in the Russian language. Special rules of behaviour were invented by Catherine II and posted up in the gallery connecting the Winter Palace with the Small Hermitage. They read that "titles should have been left at the door like hats, the more so spades, seniority and arrogance, guests should be merry but nevertheless would not spoil, crush or gnaw anything, they should not speak very loudly so that the others would not have a headache, or argue in a temper, but they were also not allowed to sigh deeply or yawn, to prevent others from entertainments, to drink excessively, though to eat sweetly, and not to foul the nest". Those who violated the rules were fined. They should either drink a glass of cold water "ladies including" , read some lines from a poem or learn by heart very difficult for perception poems from "Telemakhida" by Vasily Trediakovsky.
Collections of the works of art - pictures, sculptures, attires of the Russian tsars, jewellery and cameos placed in the side galleries on two sides of the garden were supposed to rejoice the sight of the selected guests and to help create the image of the hostess as a connoisseur of fine arts according to the spirit of the age. Though in the letter to Melchior Grimm Catherine II wrote that her treasures charm only her and mice still the fact of creation of the Hermitage collection should have shown to the Enlighted Europe that Russia deserves to be called a European country.
 Miniature of Count Grigorii Orlov
Andri Chernyi Larger view
 Portrait of Prince Grigorii Potemkin - Tavricheskii Giovanni Baptist Lampi Larger view
Data records from another source follow
+++
Density functional theory data (GGA-PBE) for crystalline KCe2TcN4 at its relaxed geometry.

Geometry as POSCAR:
```
KCe2TcN4
1.0
1.763 -6.313 0.000
1.763 6.313 0.000
0.000 0.000 12.323
K Ce Tc N
2 4 2 8
Direct
0.076 0.924 0.750
0.924 0.076 0.250
0.368 0.632 0.544
0.368 0.632 0.956
0.632 0.368 0.044
0.632 0.368 0.456
0.190 0.810 0.250
0.810 0.190 0.750
0.000 0.000 0.000
0.000 0.000 0.500
0.246 0.754 0.101
0.246 0.754 0.399
0.382 0.618 0.750
0.618 0.382 0.250
0.754 0.246 0.601
0.754 0.246 0.899
```

Results
* energy relative to the elements, uncorrected: -833.5 meV/atom
* total magnetization: 0.070 μB per atom
* symmetry: Cmcm (63)
* total DFT energy (no corrections): -7.913 eV/atom

----------

Below is crystalline NbAlV2H at its relaxed geometry, with properties calculated at the PBE level.

Computed properties:
For the final energy, the calculation gives -7.258 eV/atom. Its theoretical density is 5889 kg/m³.

a b c (Å): 3.8375 3.8375 4.2658
angles (deg): 90.00 90.00 90.00
Sites, in units of the cell vectors:
H1 0.0000 0.0000 0.0000
V1 0.5000 0.0000 0.0000
Nb1 0.0000 0.0000 0.5000
Al1 0.5000 0.5000 0.5000
V2 0.0000 0.5000 0.0000

----------

Entry 1:
A plane-wave DFT calculation with meta-GGA SCAN was carried out for a crystal of Rb2BaSr2 relaxed with PBEsol.

## Properties
Calculated formation energy (eV/atom): 0.309

abc: 5.6931 5.6931 11.1392
angles: 104.81 104.81 90.00
Atoms (fractional coordinates):
Sr (0.2500, 0.7500, 0.5000)
Sr (0.7500, 0.2500, 0.5000)
Ba (0.0000, 0.0000, 0.0000)
Rb (0.4029, 0.4029, 0.8058)
Rb (0.5971, 0.5971, 0.1942)


Entry 2:
A plane-wave DFT calculation with meta-GGA SCAN was carried out for a crystal of Sr3Ti2Mn2BiO12 relaxed with PBEsol.

## Properties
ΔE_f (raw) (meV per atom): -2789

abc: 5.4589 5.4589 9.4186
angles: 73.15 73.15 60.00
Atoms (fractional coordinates):
Sr (0.2522, 0.2522, 0.2434)
Sr (0.5000, 0.5000, 0.5000)
Sr (0.7478, 0.7478, 0.7566)
Ti (0.8757, 0.8757, 0.3730)
Ti (0.1243, 0.1243, 0.6270)
Mn (0.3746, 0.3746, 0.8761)
Mn (0.6254, 0.6254, 0.1239)
Bi (0.0000, 0.0000, 0.0000)
O (0.7529, 0.2507, 0.2436)
O (0.5000, 0.0000, 0.0000)
O (0.0000, 0.5000, 0.5000)
O (0.2471, 0.7493, 0.7564)
O (0.5000, 0.5000, 0.0000)
O (0.2471, 0.2471, 0.7564)
O (0.7529, 0.7529, 0.2436)
O (0.0000, 0.0000, 0.5000)
O (0.0000, 0.5000, 0.0000)
O (0.7493, 0.2471, 0.7564)
O (0.2507, 0.7529, 0.2436)
O (0.5000, 0.0000, 0.5000)


Entry 3:
A plane-wave DFT calculation with meta-GGA SCAN was carried out for a crystal of TlSiTe relaxed with PBEsol.

## Properties
Energy above the lowest structure with this stoichiometry (meV per atom): 225
ΔE_f (raw) (meV per atom): 497

abc: 4.8811 4.8811 4.8811
angles: 60.00 60.00 60.00
Atoms (fractional coordinates):
Tl (0.5000, 0.5000, 0.5000)
Te (0.0000, 0.0000, 0.0000)
Si (0.7500, 0.7500, 0.7500)


Entry 4:
A plane-wave DFT calculation with meta-GGA SCAN was carried out for a crystal of CuAgPt2 relaxed with PBEsol.

## Properties
Calculated formation energy (eV/atom): -0.041
+++
 Hanging Garden, view from the opposite of the North Pavilion
Nikolai Sablin Larger view

Western Picture Gallery
Apollon Mokritsky Larger view